**To do**
It remains to find "27.52" and "0.5948 x3" in the block below, and duplicate these two lines and those between.
**Contents**
┌──
# LiCoPO4
Computed XRD peak list, λ = 1.5418 Å (Cu Kα). Input: DFT lattice parameters and positions (GGA+U).

Structural model:
Lattice parameters (Å, degrees): 8.0936 5.3211 8.4679 90.00 104.73 90.00
Space group Pc (No. 7)
One atom of each set of equivalent atoms:
Li 0.0000 0.1510 0.0000 x2
Li 0.4688 0.3334 0.2932 x2
Co 0.1014 0.3363 0.3665 x2
Co 0.6034 0.1751 0.6881 x2
P 0.2266 0.1702 0.7421 x2
P 0.7219 0.3284 0.0637 x2
O 0.0917 0.1777 0.5737 x2
O 0.1507 0.2987 0.8736 x2
O 0.2684 0.1102 0.2910 x2
O 0.3887 0.3144 0.7289 x2
O 0.5898 0.1852 0.1357 x2
O 0.6524 0.4007 0.5212 x2
O 0.7511 0.2006 0.9076 x2
O 0.9022 0.3149 0.1816 x2

Most intense lines, 2θ = 5–70°, sorted by position:
2θ/deg  intensity
21.51  100
21.74  36
22.72  91
27.02  89
27.52  27
28.17  40
32.09  47
33.69  32
35.48  21
59.24  23


# Li9Mn2Co5O16
Computed XRD peak list, λ = 1.5418 Å (Cu Kα). Input: DFT lattice parameters and positions (GGA+U).

Structural model:
Lattice parameters (Å, degrees): 5.8293 6.4941 7.6993 86.38 81.11 76.88
Space group P-1 (No. 2)
One atom of each set of equivalent atoms:
Li 0.0000 0.0000 0.0000 x1
Li 0.0530 0.1250 0.6285 x2
Li 0.1879 0.3712 0.8728 x2
Li 0.3058 0.6330 0.1251 x2
Li 0.4388 0.8791 0.3712 x2
Mn 0.3660 0.7539 0.7549 x2
Co 0.1280 0.2525 0.2467 x2
Co 0.2561 0.5027 0.4994 x2
Co 0.5000 0.0000 0.0000 x1
O 0.0360 0.5478 0.3144 x2
O 0.0991 0.6936 0.9147 x2
O 0.1690 0.8132 0.5707 x2
O 0.2389 0.9660 0.1718 x2
O 0.2966 0.0444 0.8212 x2
O 0.3554 0.1994 0.4122 x2
O 0.4348 0.2926 0.0610 x2
O 0.4614 0.4587 0.6901 x2

Most intense lines, 2θ = 5–70°, sorted by position:
2θ/deg  intensity
18.51  100
35.64  15
36.43  13
36.69  13
42.96  29
44.27  27
44.56  26
47.89  9
63.31  15
63.46  7


# Ba2MgZnWO6
Computed XRD peak list, λ = 1.5418 Å (Cu Kα). Input: DFT lattice parameters and positions (GGA+U).

Structural model:
Lattice parameters (Å, degrees): 5.7752 5.7886 10.4864 90.00 90.00 90.00
Space group Immm (No. 71)
One atom of each set of equivalent atoms:
Ba 0.0000 0.0000 0.1892 x4
Mg 0.0000 0.0000 0.5000 x2
Zn 0.0000 0.5000 0.0000 x2
W 0.0000 0.5000 0.5000 x2
O 0.0000 0.5000 0.3023 x4
O 0.2488 0.2618 0.0000 x8

Most intense lines, 2θ = 5–70°, sorted by position:
2θ/deg  intensity
17.50  36
27.67  100
29.87  42
30.93  64
34.20  13
35.79  14
43.52  30
44.31  37
53.04  34
56.51  13


# Ba2Co2F11
Computed XRD peak list, λ = 1.5418 Å (Cu Kα). Input: DFT lattice parameters and positions (GGA+U).

Structural model:
Lattice parameters (Å, degrees): 7.6378 7.6378 14.1399 90.00 90.00 120.00
Space group P3_2 (No. 145)
One atom of each set of equivalent atoms:
Ba 0.1452 0.4727 0.0000 x3
Ba 0.5366 0.1796 0.8439 x3
Co 0.0253 0.6678 0.7232 x3
Co 0.2254 0.0787 0.5672 x3
F 0.0126 0.1157 0.5777 x3
F 0.0714 0.7874 0.5948 x3
F 0.1129 0.4995 0.6631 x3
F 0.1630 0.0706 0.4229 x3
F 0.1991 0.4837 0.4406 x3
F 0.3258 0.0595 0.1808 x3
F 0.3311 0.1741 0.6892 x3
F 0.3986 0.3464 0.0187 x3
F 0.4235 0.0133 0.5202 x3
F 0.4233 0.3652 0.5238 x3
F 0.5242 0.2791 0.3551 x3

Most intense lines, 2θ = 5–70°, sorted by position:
2θ/deg  intensity
18.37  41
23.17  88
24.14  100
26.53  44
27.70  59
28.63  40
29.82  47
38.18  69
40.86  54
47.62  31


# Li9Mn2Co5O16
Computed XRD peak list, λ = 1.5418 Å (Cu Kα). Input: DFT lattice parameters and positions (GGA+U).

Structural model:
Lattice parameters (Å, degrees): 5.9042 6.4522 7.8411 86.02 75.95 76.94
Space group P1 (No. 1)
One atom of each set of equivalent atoms:
Li 0.0000 0.0000 0.0000 x1
Li 0.0592 0.1217 0.6283 x1
Li 0.1215 0.2416 0.2567 x1
Li 0.2436 0.4912 0.5099 x1
Li 0.3615 0.7499 0.7475 x1
Li 0.4938 0.0024 0.0018 x1
Li 0.6228 0.2415 0.2564 x1
Li 0.7518 0.4926 0.5090 x1
Li 0.8808 0.7505 0.7473 x1
Mn 0.5593 0.1221 0.6287 x1
Mn 0.8097 0.6205 0.1286 x1
Co 0.1768 0.3704 0.8714 x1
Co 0.3102 0.6221 0.1289 x1
Co 0.4335 0.8708 0.3822 x1
Co 0.6883 0.3700 0.8759 x1
Co 0.9413 0.8742 0.3860 x1
O 0.0178 0.5772 0.2961 x1
O 0.0811 0.6697 0.9460 x1
O 0.1688 0.8094 0.5483 x1
O 0.2060 0.9126 0.1956 x1
O 0.2879 0.0757 0.8145 x1
└──
**Done**
27.52  27
28.17  40
32.09  47
33.69  32
35.48  21
59.24  23


# Li9Mn2Co5O16
Computed XRD peak list, λ = 1.5418 Å (Cu Kα). Input: DFT lattice parameters and positions (GGA+U).

Structural model:
Lattice parameters (Å, degrees): 5.8293 6.4941 7.6993 86.38 81.11 76.88
Space group P-1 (No. 2)
One atom of each set of equivalent atoms:
Li 0.0000 0.0000 0.0000 x1
Li 0.0530 0.1250 0.6285 x2
Li 0.1879 0.3712 0.8728 x2
Li 0.3058 0.6330 0.1251 x2
Li 0.4388 0.8791 0.3712 x2
Mn 0.3660 0.7539 0.7549 x2
Co 0.1280 0.2525 0.2467 x2
Co 0.2561 0.5027 0.4994 x2
Co 0.5000 0.0000 0.0000 x1
O 0.0360 0.5478 0.3144 x2
O 0.0991 0.6936 0.9147 x2
O 0.1690 0.8132 0.5707 x2
O 0.2389 0.9660 0.1718 x2
O 0.2966 0.0444 0.8212 x2
O 0.3554 0.1994 0.4122 x2
O 0.4348 0.2926 0.0610 x2
O 0.4614 0.4587 0.6901 x2

Most intense lines, 2θ = 5–70°, sorted by position:
2θ/deg  intensity
18.51  100
35.64  15
36.43  13
36.69  13
42.96  29
44.27  27
44.56  26
47.89  9
63.31  15
63.46  7


# Ba2MgZnWO6
Computed XRD peak list, λ = 1.5418 Å (Cu Kα). Input: DFT lattice parameters and positions (GGA+U).

Structural model:
Lattice parameters (Å, degrees): 5.7752 5.7886 10.4864 90.00 90.00 90.00
Space group Immm (No. 71)
One atom of each set of equivalent atoms:
Ba 0.0000 0.0000 0.1892 x4
Mg 0.0000 0.0000 0.5000 x2
Zn 0.0000 0.5000 0.0000 x2
W 0.0000 0.5000 0.5000 x2
O 0.0000 0.5000 0.3023 x4
O 0.2488 0.2618 0.0000 x8

Most intense lines, 2θ = 5–70°, sorted by position:
2θ/deg  intensity
17.50  36
27.67  100
29.87  42
30.93  64
34.20  13
35.79  14
43.52  30
44.31  37
53.04  34
56.51  13


# Ba2Co2F11
Computed XRD peak list, λ = 1.5418 Å (Cu Kα). Input: DFT lattice parameters and positions (GGA+U).

Structural model:
Lattice parameters (Å, degrees): 7.6378 7.6378 14.1399 90.00 90.00 120.00
Space group P3_2 (No. 145)
One atom of each set of equivalent atoms:
Ba 0.1452 0.4727 0.0000 x3
Ba 0.5366 0.1796 0.8439 x3
Co 0.0253 0.6678 0.7232 x3
Co 0.2254 0.0787 0.5672 x3
F 0.0126 0.1157 0.5777 x3
F 0.0714 0.7874 0.5948 x3